Contents
'''
Entry 1
PbCSBr2N2 PBE relaxed; total magnetization = 4.00 Bohr magnetons per cell
1.0
4.4113 0.0000 0.0000
0.0000 17.9854 0.0000
-0.5184 0.0000 5.6584
Pb C S Br N
2 2 2 4 4
Direct
0.0865 0.0000 0.3966
0.9135 0.5000 0.6034
0.4575 0.7888 0.0582
0.5425 0.2888 0.9418
0.1624 0.3029 0.5255
0.8376 0.8029 0.4745
0.0752 0.4715 0.1017
0.4074 0.6038 0.6263
0.5926 0.1038 0.3737
0.9248 0.9715 0.8983
0.2882 0.7885 0.8810
0.3647 0.2873 0.7564
0.6353 0.7873 0.2436
0.7118 0.2885 0.1190



Entry 2
PbCSBr2N2 PBE relaxed; total magnetization = 4.01 Bohr magnetons per cell
1.0
4.0048 0.0000 0.0000
0.0000 17.2785 0.0000
-0.9652 0.0000 6.6618
Pb C S Br N
2 2 2 4 4
Direct
0.1129 0.0000 0.3651
0.8871 0.5000 0.6349
0.4816 0.2658 0.9555
0.5184 0.7658 0.0445
0.3337 0.4170 0.4043
0.6663 0.9170 0.5957
0.1817 0.4814 0.1199
0.3734 0.6216 0.5828
0.6266 0.1216 0.4172
0.8183 0.9814 0.8801
0.2769 0.2331 0.8290
0.3110 0.7998 0.9204
0.6890 0.2998 0.0796
0.7231 0.7331 0.1710



Most stable one: entry 1, least stable one: entry 2.



Entry 1
Ca2CdBr6O12 PBE relaxed; total magnetization = 8.00 Bohr magnetons per cell
1.0
6.8678 -4.6412 0.0000
6.8678 4.6412 0.0000
-5.3093 0.0000 13.7872
Ca Cd Br O
4 2 12 24
Direct
0.1236 0.6343 0.9668
0.3657 0.8764 0.5332
0.6343 0.1236 0.4668
0.8764 0.3657 0.0332
0.0000 0.5000 0.5000
0.5000 0.0000 0.0000
0.0308 0.2729 0.6385
0.1301 0.1739 0.3797
0.1739 0.1301 0.8797
0.2729 0.0308 0.1385
0.3403 0.4666 0.6144
0.4666 0.3403 0.1144
0.5334 0.6597 0.8856
0.6597 0.5334 0.3856
0.7271 0.9692 0.8615
0.8261 0.8698 0.1203
0.8698 0.8261 0.6203
0.9692 0.7271 0.3615
0.0584 0.3572 0.9313
0.1048 0.8572 0.4168
0.1433 0.2484 0.1308
0.1428 0.8952 0.0832
0.2484 0.1433 0.6308
0.2941 0.6856 0.5962
0.3100 0.5001 0.3568
0.3144 0.7059 0.9038
0.3365 0.3742 0.8542
0.3572 0.0584 0.4313
0.3742 0.3365 0.3542
0.5001 0.3100 0.8568
0.4999 0.6900 0.1432
0.6258 0.6635 0.6458
0.6428 0.9416 0.5687
0.6635 0.6258 0.1458
0.6856 0.2941 0.0962
0.6900 0.4999 0.6432
0.7059 0.3144 0.4038
0.7516 0.8567 0.3692
0.8572 0.1048 0.9168
0.8567 0.7516 0.8692
0.8952 0.1428 0.5832
0.9416 0.6428 0.0687



Entry 2
Ca2CdBr6O12 PBE relaxed; total magnetization = 8.00 Bohr magnetons per cell
1.0
7.3407 -4.7085 0.0000
7.3407 4.7085 0.0000
-7.1958 0.0000 14.9091
Ca Cd Br O
4 2 12 24
Direct
0.1147 0.1554 0.0178
0.1554 0.1147 0.5178
0.8446 0.8853 0.4822
0.8853 0.8446 0.9822
0.5000 0.5000 0.0000
0.5000 0.5000 0.5000
0.1188 0.4085 0.8647
0.2329 0.7389 0.6271
0.2346 0.7104 0.3798
0.2611 0.7671 0.8729
0.2896 0.7654 0.1202
0.4085 0.1188 0.3647
0.5915 0.8812 0.6353
0.7104 0.2346 0.8798
0.7389 0.2329 0.1271
0.7654 0.2896 0.6202
0.7671 0.2611 0.3729
0.8812 0.5915 0.1353
0.0165 0.4142 0.3665
0.0505 0.3954 0.1313
0.0604 0.8836 0.4281
0.0642 0.4290 0.6077
0.1053 0.2898 0.9234
0.1164 0.9396 0.0719
0.2898 0.1053 0.4234
0.3590 0.5120 0.5846
0.3954 0.0505 0.6313
0.4142 0.0165 0.8665
0.4290 0.0642 0.1077
0.4880 0.6410 0.9154
0.5120 0.3590 0.0846
0.5710 0.9358 0.8923
0.5858 0.9835 0.1335
0.6046 0.9495 0.3687
0.6410 0.4880 0.4154
0.7102 0.8947 0.5766
0.8836 0.0604 0.9281
0.8947 0.7102 0.0766
0.9358 0.5710 0.3923
0.9396 0.1164 0.5719
0.9495 0.6046 0.8687
0.9835 0.5858 0.6335



Most stable one: entry 2, least stable one: entry 1.



Entry 1
CaHgH16Br4O8 PBE relaxed; total magnetization = 0.00 Bohr magnetons per cell
1.0
9.1563 -6.3452 0.0000
9.1563 6.3452 0.0000
0.0000 0.0000 13.9929
Ca Hg H Br O
4 4 64 16 32
Direct
0.2475 0.2475 0.0000
0.2525 0.2525 0.5000
0.7475 0.7475 0.5000
0.7525 0.7525 0.0000
0.2427 0.7573 0.6960
0.2573 0.7427 0.1960
0.7427 0.2573 0.8040
0.7573 0.2427 0.3040
0.0007 0.2018 0.4588
0.0098 0.3581 0.8811
0.0268 0.7344 0.4395
0.0322 0.2115 0.1284
0.0532 0.5733 0.0267
0.0733 0.5532 0.5267
0.0755 0.1197 0.9079
0.1114 0.2588 0.2988
0.1197 0.0755 0.0921
0.1297 0.2231 0.6973
0.1419 0.4902 0.6189
0.2018 0.0007 0.5412
0.2115 0.0322 0.8716
0.2231 0.1297 0.3027
0.2344 0.5268 0.9395
0.2412 0.3886 0.2012
0.2588 0.1114 0.7012
0.2656 0.9732 0.4395
0.2769 0.3703 0.8027
0.2885 0.4678 0.3716
0.2982 0.4993 0.0412
'''
Request
The reader should reproduce everything above with every line break kept.
Result
Entry 1
PbCSBr2N2 PBE relaxed; total magnetization = 4.00 Bohr magnetons per cell
1.0
4.4113 0.0000 0.0000
0.0000 17.9854 0.0000
-0.5184 0.0000 5.6584
Pb C S Br N
2 2 2 4 4
Direct
0.0865 0.0000 0.3966
0.9135 0.5000 0.6034
0.4575 0.7888 0.0582
0.5425 0.2888 0.9418
0.1624 0.3029 0.5255
0.8376 0.8029 0.4745
0.0752 0.4715 0.1017
0.4074 0.6038 0.6263
0.5926 0.1038 0.3737
0.9248 0.9715 0.8983
0.2882 0.7885 0.8810
0.3647 0.2873 0.7564
0.6353 0.7873 0.2436
0.7118 0.2885 0.1190



Entry 2
PbCSBr2N2 PBE relaxed; total magnetization = 4.01 Bohr magnetons per cell
1.0
4.0048 0.0000 0.0000
0.0000 17.2785 0.0000
-0.9652 0.0000 6.6618
Pb C S Br N
2 2 2 4 4
Direct
0.1129 0.0000 0.3651
0.8871 0.5000 0.6349
0.4816 0.2658 0.9555
0.5184 0.7658 0.0445
0.3337 0.4170 0.4043
0.6663 0.9170 0.5957
0.1817 0.4814 0.1199
0.3734 0.6216 0.5828
0.6266 0.1216 0.4172
0.8183 0.9814 0.8801
0.2769 0.2331 0.8290
0.3110 0.7998 0.9204
0.6890 0.2998 0.0796
0.7231 0.7331 0.1710



Most stable one: entry 1, least stable one: entry 2.



Entry 1
Ca2CdBr6O12 PBE relaxed; total magnetization = 8.00 Bohr magnetons per cell
1.0
6.8678 -4.6412 0.0000
6.8678 4.6412 0.0000
-5.3093 0.0000 13.7872
Ca Cd Br O
4 2 12 24
Direct
0.1236 0.6343 0.9668
0.3657 0.8764 0.5332
0.6343 0.1236 0.4668
0.8764 0.3657 0.0332
0.0000 0.5000 0.5000
0.5000 0.0000 0.0000
0.0308 0.2729 0.6385
0.1301 0.1739 0.3797
0.1739 0.1301 0.8797
0.2729 0.0308 0.1385
0.3403 0.4666 0.6144
0.4666 0.3403 0.1144
0.5334 0.6597 0.8856
0.6597 0.5334 0.3856
0.7271 0.9692 0.8615
0.8261 0.8698 0.1203
0.8698 0.8261 0.6203
0.9692 0.7271 0.3615
0.0584 0.3572 0.9313
0.1048 0.8572 0.4168
0.1433 0.2484 0.1308
0.1428 0.8952 0.0832
0.2484 0.1433 0.6308
0.2941 0.6856 0.5962
0.3100 0.5001 0.3568
0.3144 0.7059 0.9038
0.3365 0.3742 0.8542
0.3572 0.0584 0.4313
0.3742 0.3365 0.3542
0.5001 0.3100 0.8568
0.4999 0.6900 0.1432
0.6258 0.6635 0.6458
0.6428 0.9416 0.5687
0.6635 0.6258 0.1458
0.6856 0.2941 0.0962
0.6900 0.4999 0.6432
0.7059 0.3144 0.4038
0.7516 0.8567 0.3692
0.8572 0.1048 0.9168
0.8567 0.7516 0.8692
0.8952 0.1428 0.5832
0.9416 0.6428 0.0687



Entry 2
Ca2CdBr6O12 PBE relaxed; total magnetization = 8.00 Bohr magnetons per cell
1.0
7.3407 -4.7085 0.0000
7.3407 4.7085 0.0000
-7.1958 0.0000 14.9091
Ca Cd Br O
4 2 12 24
Direct
0.1147 0.1554 0.0178
0.1554 0.1147 0.5178
0.8446 0.8853 0.4822
0.8853 0.8446 0.9822
0.5000 0.5000 0.0000
0.5000 0.5000 0.5000
0.1188 0.4085 0.8647
0.2329 0.7389 0.6271
0.2346 0.7104 0.3798
0.2611 0.7671 0.8729
0.2896 0.7654 0.1202
0.4085 0.1188 0.3647
0.5915 0.8812 0.6353
0.7104 0.2346 0.8798
0.7389 0.2329 0.1271
0.7654 0.2896 0.6202
0.7671 0.2611 0.3729
0.8812 0.5915 0.1353
0.0165 0.4142 0.3665
0.0505 0.3954 0.1313
0.0604 0.8836 0.4281
0.0642 0.4290 0.6077
0.1053 0.2898 0.9234
0.1164 0.9396 0.0719
0.2898 0.1053 0.4234
0.3590 0.5120 0.5846
0.3954 0.0505 0.6313
0.4142 0.0165 0.8665
0.4290 0.0642 0.1077
0.4880 0.6410 0.9154
0.5120 0.3590 0.0846
0.5710 0.9358 0.8923
0.5858 0.9835 0.1335
0.6046 0.9495 0.3687
0.6410 0.4880 0.4154
0.7102 0.8947 0.5766
0.8836 0.0604 0.9281
0.8947 0.7102 0.0766
0.9358 0.5710 0.3923
0.9396 0.1164 0.5719
0.9495 0.6046 0.8687
0.9835 0.5858 0.6335



Most stable one: entry 2, least stable one: entry 1.



Entry 1
CaHgH16Br4O8 PBE relaxed; total magnetization = 0.00 Bohr magnetons per cell
1.0
9.1563 -6.3452 0.0000
9.1563 6.3452 0.0000
0.0000 0.0000 13.9929
Ca Hg H Br O
4 4 64 16 32
Direct
0.2475 0.2475 0.0000
0.2525 0.2525 0.5000
0.7475 0.7475 0.5000
0.7525 0.7525 0.0000
0.2427 0.7573 0.6960
0.2573 0.7427 0.1960
0.7427 0.2573 0.8040
0.7573 0.2427 0.3040
0.0007 0.2018 0.4588
0.0098 0.3581 0.8811
0.0268 0.7344 0.4395
0.0322 0.2115 0.1284
0.0532 0.5733 0.0267
0.0733 0.5532 0.5267
0.0755 0.1197 0.9079
0.1114 0.2588 0.2988
0.1197 0.0755 0.0921
0.1297 0.2231 0.6973
0.1419 0.4902 0.6189
0.2018 0.0007 0.5412
0.2115 0.0322 0.8716
0.2231 0.1297 0.3027
0.2344 0.5268 0.9395
0.2412 0.3886 0.2012
0.2588 0.1114 0.7012
0.2656 0.9732 0.4395
0.2769 0.3703 0.8027
0.2885 0.4678 0.3716
0.2982 0.4993 0.0412